Effective Online Therapy in California with Andrea Bey, LMFT

Transform Your Life with Online Therapy in California

You're experiencing a sense of isolation, carrying an ever-present weight on your shoulders and a knot in your stomach. Perhaps you're juggling the demands of young children at home, trying to navigate this new normal. Maybe you find yourself in the sandwich generation, balancing the care of both young children and aging parents simultaneously. You might be a busy college student, barely finding a moment between classes, or deeply engrossed in a bustling career, with little time to spare. Perhaps you're immunocompromised or struggle with crippling anxiety, making it difficult to leave the house. What you do know is that you're in need of therapy, but a traditional office setting just isn't feasible for you.

How will online therapy help me?

I help my clients work through their anxiety, quiet their inner critic, learn ways to effectively communicate their needs to others, and develop healthier beliefs about themselves. I witness my clients develop greater self-compassion and create a life they love.

How does online therapy work?
I will send you a link to my virtual waiting room that you will use each week for your session. There is no software to download, and the link is the same from week to week. In these sessions we will laugh, cry, you can vent, BUT you will also start to experience transformation. 

So save yourself the commute, and don't wait for the anxiety and stress to get worse. It doesn't have to be this way.

........
No. 1
For NaCd4In3, a DFT-relaxed cell (GGA-PBE, Alexandria) gives the theoretical X-ray powder pattern in this record (Cu Kα, 1.54184 Å).
Kinematic intensities with the Lorentz-polarization factor, no thermal factor.

Structure:
Cell lengths 3.224, 5.847, 10.836 Å; angles 102.19, 98.23, 90.03 degrees
Space group P-1 (No. 2)
One atom of each set of equivalent atoms:
Na1 0.000 0.000 0.000 [1 per cell]
Cd1 0.132 0.802 0.256 [2 per cell]
Cd2 0.254 0.251 0.506 [2 per cell]
In1 0.372 0.708 0.743 [2 per cell]
In2 0.500 0.500 0.000 [1 per cell]

Largest 10 diffraction maxima, sorted by position, 15 to 90 degrees two-theta:
| two_theta | I/Imax | hkl |
| --- | --- | --- |
| 31.32 | 26 | 0 2 0 |
| 33.06 | 23 | 1 -1 1 |
| 33.17 | 23 | 1 1 -2 |
| 34.24 | 100 | 0 0 4 |
| 35.63 | 25 | 1 1 1 |
| 35.76 | 26 | -1 1 2 |
| 36.13 | 26 | 0 2 -3 |
| 36.52 | 31 | 1 -1 2 |
| 36.70 | 29 | 1 1 -3 |
| 55.14 | 31 | 1 -3 1 |

***

No. 2
For SrReHg, a DFT-relaxed cell (GGA-PBE, Alexandria) gives the theoretical X-ray powder pattern in this record (Cu Kα, 1.54184 Å).
Kinematic intensities with the Lorentz-polarization factor, no thermal factor.

Structure:
Cell lengths 3.041, 4.286, 10.997 Å; angles 90.00, 90.00, 90.00 degrees
Space group Imm2 (No. 44)
One atom of each set of equivalent atoms:
Sr1 0.000 0.000 0.000 [2 per cell]
Re1 0.000 0.000 0.300 [2 per cell]
Hg1 0.000 0.000 0.709 [2 per cell]

Largest 10 diffraction maxima, sorted by position, 15 to 90 degrees two-theta:
| two_theta | I/Imax | hkl |
| --- | --- | --- |
| 16.12 | 86 | 0 0 2 |
| 32.13 | 88 | 0 1 3 |
| 36.22 | 100 | 1 1 0 |
| 38.46 | 54 | 1 0 3 |
| 39.87 | 38 | 1 1 2 |
| 42.17 | 33 | 0 2 0 |
| 49.49 | 23 | 1 1 4 |
| 58.38 | 33 | 1 2 3 |
| 63.02 | 21 | 0 1 7 |
| 82.45 | 23 | 1 2 7 |

***

No. 3
For Ac6Nd3Dy2, a DFT-relaxed cell (GGA-PBE, Alexandria) gives the theoretical X-ray powder pattern in this record (Cu Kα, 1.54184 Å).
Kinematic intensities with the Lorentz-polarization factor, no thermal factor.

Structure:
Cell lengths 6.610, 8.561, 8.577 Å; angles 107.25, 97.70, 104.93 degrees
Space group P-1 (No. 2)
One atom of each set of equivalent atoms:
Ac1 0.054 0.181 0.404 [2 per cell]
Ac2 0.136 0.549 0.232 [2 per cell]
Ac3 0.321 0.265 0.870 [2 per cell]
Nd1 0.407 0.644 0.686 [2 per cell]
Nd2 0.500 0.000 0.500 [1 per cell]
Dy1 0.231 0.914 0.047 [2 per cell]

Largest 10 diffraction maxima, sorted by position, 15 to 90 degrees two-theta:
| two_theta | I/Imax | hkl |
| --- | --- | --- |
| 28.55 | 100 | 0 1 2 |
| 28.62 | 33 | 1 -2 2 |
| 33.04 | 45 | 1 1 -3 |
| 33.23 | 23 | 2 0 1 |
| 47.52 | 33 | 1 3 1 |
| 56.21 | 15 | 1 0 -5 |
| 56.33 | 20 | 2 3 -4 |
| 56.44 | 10 | 2 1 3 |
| 56.58 | 15 | 3 2 0 |
| 59.16 | 9 | 2 4 -2 |

***

No. 4
For AcCuH2F8, a DFT-relaxed cell (GGA-PBE, Alexandria) gives the theoretical X-ray powder pattern in this record (Cu Kα, 1.54184 Å).
Kinematic intensities with the Lorentz-polarization factor, no thermal factor.

Structure:
........

Andrea Bey, LMFT: Your Partner in Online Therapy in California

Hi, I’m Andrea Bey and I provide online therapy (including online EMDR therapy) to women in California. Online therapy is so convenient, and it’s proven to be as effective as if we met in person! Many of my clients report that after a few minutes of adjusting to the online format, they often forget that we are not in the same room together.

Schedule Your First Online Therapy Session Today with Andrea Bey Therapy!

If you live in California and are in need of support, click here or call me today at (805)225-4495 for your FREE 15-minute phone consultation for online therapy so that you can finally find relief from anxiety, stress, and trauma. I look forward to speaking with you!

Frequently Asked Questions about Online Therapy in California

-- Inserted here: crystal structures --
Record 1
Calculated XRD peak list
Compound: Ac3Si4Rh
Radiation: Cu Ka
Structure: a PBE-relaxed structure
No peak broadening, texture or thermal motion is included.

Top 10 peaks for 5° ≤ 2θ ≤ 70°, in order of rising 2θ:
20.4°, d 4.355, I 23, hkl 2 0 -1; 21.1°, d 4.215, I 28, hkl 1 1 0; 24.4°, d 3.644, I 18, hkl 3 1 0; 26.1°, d 3.416, I 51, hkl 6 0 0; 29.1°, d 3.073, I 20, hkl 4 0 1; 30.2°, d 2.956, I 100, hkl 3 1 -1; 33.4°, d 2.682, I 62, hkl 3 1 1; 37.1°, d 2.420, I 27, hkl 7 1 0; 41.9°, d 2.154, I 24, hkl 0 2 0; 46.4°, d 1.957, I 20, hkl 9 1 -1

Structure:
a b c (Å): 20.856 4.308 4.489
angles (deg): 90.00 100.68 90.00
Space group C2/m (No. 12)
One atom of each set of equivalent atoms:
Ac 0.000 0.000 0.000
Ac 0.162 0.000 0.442
Si 0.105 0.500 0.882
Si 0.221 0.500 0.980
Rh 0.000 0.500 0.500


Record 2
Calculated XRD peak list
Compound: NaV2Cu
Radiation: Cu Ka
Structure: a PBE-relaxed structure
No peak broadening, texture or thermal motion is included.

Top 5 peaks for 5° ≤ 2θ ≤ 70°, in order of rising 2θ:
25.0°, d 3.568, I 14, hkl 1 1 1; 41.3°, d 2.185, I 100, hkl 2 2 0; 48.9°, d 1.863, I 7, hkl 3 1 1; 59.9°, d 1.545, I 15, hkl 4 0 0; 65.9°, d 1.418, I 3, hkl 3 3 1

Structure:
a b c (Å): 6.180 6.180 6.180
angles (deg): 90.00 90.00 90.00
Space group Fm-3m (No. 225)
One atom of each set of equivalent atoms:
Na 0.000 0.000 0.000
V 0.250 0.250 0.250
Cu 0.000 0.000 0.500


Record 3
Calculated XRD peak list
Compound: RbNa2ReF8
Radiation: Cu Ka
Structure: a PBE-relaxed structure
No peak broadening, texture or thermal motion is included.

Top 10 peaks for 5° ≤ 2θ ≤ 70°, in order of rising 2θ:
11.0°, d 8.020, I 54, hkl 0 0 1; 16.0°, d 5.525, I 100, hkl 0 1 0; 18.3°, d 4.854, I 56, hkl 1 0 0; 22.2°, d 4.010, I 54, hkl 0 0 2; 23.1°, d 3.853, I 80, hkl 1 1 0; 25.7°, d 3.470, I 58, hkl 1 -1 0; 26.8°, d 3.331, I 47, hkl 0 1 2; 28.2°, d 3.166, I 37, hkl 0 1 -2; 28.4°, d 3.140, I 31, hkl 1 0 2; 34.4°, d 2.610, I 29, hkl 1 -1 2

Structure:
a b c (Å): 4.884 5.564 8.037
angles (deg): 86.72 87.86 83.86
Space group P-1 (No. 2)
One atom of each set of equivalent atoms:
Rb 0.000 0.000 0.000
Na 0.465 0.469 0.206
Re 0.000 0.000 0.500
F 0.180 0.786 0.340
F 0.185 0.807 0.679
F 0.282 0.212 0.471
F 0.392 0.281 0.985


Record 4
Calculated XRD peak list
Compound: Cs3Ca2AgI9
Radiation: Cu Ka
Structure: a PBE-relaxed structure
No peak broadening, texture or thermal motion is included.

Top 10 peaks for 5° ≤ 2θ ≤ 70°, in order of rising 2θ:
24.7°, d 3.611, I 30, hkl 0 0 3; 25.3°, d 3.519, I 85, hkl 0 2 1; 29.1°, d 3.067, I 100, hkl 2 0 2; 41.2°, d 2.189, I 38, hkl 0 2 4; 42.1°, d 2.148, I 36, hkl 2 2 0; 48.6°, d 1.872, I 14, hkl 2 0 5; 49.4°, d 1.846, I 27, hkl 2 2 3; 52.0°, d 1.759, I 19, hkl 0 4 2; 67.8°, d 1.382, I 16, hkl 2 2 6; 69.0°, d 1.361, I 16, hkl 4 2 2

Structure:
a b c (Å): 8.5916 8.5916 10.8325
angles (deg): 90.00 90.00 120.00
Space group P-3m1 (No. 164)
One atom of each set of equivalent atoms:
Cs 0.0000 0.0000 0.0000
Cs 0.3333 0.6667 0.6581
Ca 0.3333 0.6667 0.1697
-- End of the crystal structures --

  • Many people use the terms counseling and therapy interchangeably. Counseling tends to be shorter-term, goal-oriented, and it addresses concrete, specific life challenges. By contrast, therapy tends to be longer-term, more exploratory, and holistic. Trauma therapy, such as EMDR therapy for complex trauma is often longer-term, with life-changing results.

  • When searching for the best San Luis Obispo therapist for you make sure to check out each therapist’s areas of specialty, which may include things like EMDR therapy, online EMDR therapy, and anxiety therapy.

  • If you want to spend time talking about an issue or working through trauma using EMDR therapy or other modalities, then a San Luis Obispo therapist might be a good fit for you. If you need an assessment completed for ADHD, autism, etc. then a psychologist might be a good fit. If you're interested in pursuing psychiatric medication for symptom relief for a mental health disorder, you will want to talk to a psychiatrist.

Ready to get started with online therapy in CA with Andrea Bey, LMFT?